# Contents
Entry 1:
Structure and theoretical powder XRD pattern of Mg14CoC (a GGA-PBE-relaxed structure; Cu Kα).
No peak broadening, texture or thermal motion is included.

Largest 12 diffraction maxima, low angle first, 10° ≤ 2θ ≤ 90°:
d 8.730, 2θ 10.1, I 26; d 6.065, 2θ 14.6, I 10; d 2.624, 2θ 34.2, I 12; d 2.490, 2θ 36.1, I 100; d 2.476, 2θ 36.3, I 27; d 2.382, 2θ 37.8, I 20; d 2.182, 2θ 41.4, I 9; d 2.100, 2θ 43.1, I 15; d 1.918, 2θ 47.4, I 10; d 1.566, 2θ 59.0, I 9; d 1.345, 2θ 70.0, I 10; d 1.326, 2θ 71.1, I 10

Cell and atoms:
a = 8.730 Å, b = 6.264 Å, c = 6.264 Å
α = 75.50°, β = 90.00°, γ = 90.00°
Fractional coordinates of all 16 atoms:
Mg1 0.000 0.000 0.000
Mg2 0.000 0.458 0.458
Mg3 0.000 0.528 0.934
Mg4 0.000 0.934 0.528
Mg5 0.236 0.215 0.215
Mg6 0.290 0.833 0.833
Mg7 0.325 0.337 0.723
Mg8 0.325 0.723 0.337
Mg9 0.500 0.084 0.480
Mg10 0.500 0.480 0.084
Mg11 0.675 0.337 0.723
Mg12 0.675 0.723 0.337
Mg13 0.710 0.833 0.833
Mg14 0.764 0.215 0.215
Co1 0.500 0.038 0.038
C1 0.500 0.447 0.447

=====

Entry 2:
Structure and theoretical powder XRD pattern of Mg14CoC (a GGA-PBE-relaxed structure; Cu Kα).
No peak broadening, texture or thermal motion is included.

Largest 12 diffraction maxima, low angle first, 10° ≤ 2θ ≤ 90°:
d 5.379, 2θ 16.5, I 4; d 4.684, 2θ 18.9, I 11; d 2.953, 2θ 30.3, I 4; d 2.734, 2θ 32.8, I 3; d 2.690, 2θ 33.3, I 25; d 2.381, 2θ 37.8, I 24; d 2.342, 2θ 38.4, I 100; d 1.783, 2θ 51.2, I 14; d 1.553, 2θ 59.5, I 17; d 1.367, 2θ 68.7, I 16; d 1.301, 2θ 72.7, I 18; d 1.294, 2θ 73.1, I 13

Cell and atoms:
a = 6.212 Å, b = 6.212 Å, c = 9.524 Å
α = 90.00°, β = 90.00°, γ = 120.00°
Fractional coordinates of all 16 atoms:
Mg1 0.000 0.000 0.249
Mg2 0.000 0.000 0.751
Mg3 0.021 0.511 0.251
Mg4 0.021 0.511 0.749
Mg5 0.332 0.166 0.500
Mg6 0.335 0.168 0.000
Mg7 0.489 0.511 0.251
Mg8 0.489 0.511 0.749
Mg9 0.489 0.979 0.251
Mg10 0.489 0.979 0.749
Mg11 0.832 0.168 0.000
Mg12 0.832 0.665 0.000
Mg13 0.834 0.166 0.500
Mg14 0.834 0.668 0.500
Co1 0.333 0.667 0.000
C1 0.333 0.667 0.500

=====

Entry 3:
Structure and theoretical powder XRD pattern of Mg6CoC (a GGA-PBE-relaxed structure; Cu Kα).
No peak broadening, texture or thermal motion is included.

Largest 12 diffraction maxima, low angle first, 10° ≤ 2θ ≤ 90°:
d 6.169, 2θ 14.4, I 76; d 3.161, 2θ 28.2, I 23; d 2.948, 2θ 30.3, I 31; d 2.479, 2θ 36.2, I 34; d 2.369, 2θ 38.0, I 78; d 2.336, 2θ 38.5, I 100; d 2.038, 2θ 44.5, I 28; d 1.789, 2θ 51.1, I 24; d 1.752, 2θ 52.2, I 20; d 1.613, 2θ 57.1, I 18; d 1.606, 2θ 57.4, I 17; d 1.305, 2θ 72.4, I 16

Cell and atoms:
a = 3.577 Å, b = 6.462 Å, c = 6.462 Å
α = 72.67°, β = 90.00°, γ = 90.00°
Fractional coordinates of all 8 atoms:
Mg1 0.000 0.000 0.000
Mg2 0.000 0.082 0.436
Mg3 0.000 0.436 0.082
Mg4 0.500 0.309 0.673
Mg5 0.500 0.673 0.309
Mg6 0.500 0.776 0.776
Co1 0.000 0.615 0.615
C1 0.500 0.311 0.311

* * * * *

TbPm3Ag7: theoretical X-ray powder pattern (copper Kα), based on the GGA-PBE geometry in Alexandria.
Kinematic intensities with the Lorentz-polarization factor, no thermal factor.

Principal peaks in the range 10 to 90 degrees two-theta, by intensity:
- 2θ 34.3, 2.614 Å, intensity 100
- 2θ 30.8, 2.900 Å, intensity 79
- 2θ 35.4, 2.534 Å, intensity 41
- 2θ 29.7, 3.008 Å, intensity 38
- 2θ 33.9, 2.641 Å, intensity 36
- 2θ 41.6, 2.170 Å, intensity 33

Atomic structure:
abc: 10.733 10.733 13.781
angles: 90.00 90.00 159.61
Element x y z (fractional)
Tb1 0.006 0.994 0.750
Tb2 0.994 0.006 0.250
Pm1 0.128 0.872 0.037
Pm2 0.128 0.872 0.463
Pm3 0.219 0.781 0.750
Pm4 0.781 0.219 0.250
Pm5 0.872 0.128 0.537
Pm6 0.872 0.128 0.963
Ag1 0.272 0.728 0.067
Ag2 0.272 0.728 0.433
Ag3 0.384 0.616 0.750
Ag4 0.392 0.608 0.148
Ag5 0.392 0.608 0.352
Ag6 0.480 0.520 0.591
Ag7 0.480 0.520 0.909
Ag8 0.520 0.480 0.091
Ag9 0.520 0.480 0.409
Ag10 0.608 0.392 0.648
Ag11 0.608 0.392 0.852
Ag12 0.616 0.384 0.250
Ag13 0.728 0.272 0.567
Ag14 0.728 0.272 0.933

* * * * *

(1)

# To do
Transcribe the lines earlier on without additions.

# Written answer
Entry 1:
Structure and theoretical powder XRD pattern of Mg14CoC (a GGA-PBE-relaxed structure; Cu Kα).
No peak broadening, texture or thermal motion is included.

Largest 12 diffraction maxima, low angle first, 10° ≤ 2θ ≤ 90°:
d 8.730, 2θ 10.1, I 26; d 6.065, 2θ 14.6, I 10; d 2.624, 2θ 34.2, I 12; d 2.490, 2θ 36.1, I 100; d 2.476, 2θ 36.3, I 27; d 2.382, 2θ 37.8, I 20; d 2.182, 2θ 41.4, I 9; d 2.100, 2θ 43.1, I 15; d 1.918, 2θ 47.4, I 10; d 1.566, 2θ 59.0, I 9; d 1.345, 2θ 70.0, I 10; d 1.326, 2θ 71.1, I 10

Cell and atoms:
a = 8.730 Å, b = 6.264 Å, c = 6.264 Å
α = 75.50°, β = 90.00°, γ = 90.00°
Fractional coordinates of all 16 atoms:
Mg1 0.000 0.000 0.000
Mg2 0.000 0.458 0.458
Mg3 0.000 0.528 0.934
Mg4 0.000 0.934 0.528
Mg5 0.236 0.215 0.215
Mg6 0.290 0.833 0.833
Mg7 0.325 0.337 0.723
Mg8 0.325 0.723 0.337
Mg9 0.500 0.084 0.480
Mg10 0.500 0.480 0.084
Mg11 0.675 0.337 0.723
Mg12 0.675 0.723 0.337
Mg13 0.710 0.833 0.833
Mg14 0.764 0.215 0.215
Co1 0.500 0.038 0.038
C1 0.500 0.447 0.447

=====

Entry 2:
Structure and theoretical powder XRD pattern of Mg14CoC (a GGA-PBE-relaxed structure; Cu Kα).
No peak broadening, texture or thermal motion is included.

Largest 12 diffraction maxima, low angle first, 10° ≤ 2θ ≤ 90°:
d 5.379, 2θ 16.5, I 4; d 4.684, 2θ 18.9, I 11; d 2.953, 2θ 30.3, I 4; d 2.734, 2θ 32.8, I 3; d 2.690, 2θ 33.3, I 25; d 2.381, 2θ 37.8, I 24; d 2.342, 2θ 38.4, I 100; d 1.783, 2θ 51.2, I 14; d 1.553, 2θ 59.5, I 17; d 1.367, 2θ 68.7, I 16; d 1.301, 2θ 72.7, I 18; d 1.294, 2θ 73.1, I 13

Cell and atoms:
a = 6.212 Å, b = 6.212 Å, c = 9.524 Å
α = 90.00°, β = 90.00°, γ = 120.00°
Fractional coordinates of all 16 atoms:
Mg1 0.000 0.000 0.249
Mg2 0.000 0.000 0.751
Mg3 0.021 0.511 0.251
Mg4 0.021 0.511 0.749
Mg5 0.332 0.166 0.500
Mg6 0.335 0.168 0.000
Mg7 0.489 0.511 0.251
Mg8 0.489 0.511 0.749
Mg9 0.489 0.979 0.251
Mg10 0.489 0.979 0.749
Mg11 0.832 0.168 0.000
Mg12 0.832 0.665 0.000
Mg13 0.834 0.166 0.500
Mg14 0.834 0.668 0.500
Co1 0.333 0.667 0.000
C1 0.333 0.667 0.500

=====

Entry 3:
Structure and theoretical powder XRD pattern of Mg6CoC (a GGA-PBE-relaxed structure; Cu Kα).
No peak broadening, texture or thermal motion is included.

Largest 12 diffraction maxima, low angle first, 10° ≤ 2θ ≤ 90°:
d 6.169, 2θ 14.4, I 76; d 3.161, 2θ 28.2, I 23; d 2.948, 2θ 30.3, I 31; d 2.479, 2θ 36.2, I 34; d 2.369, 2θ 38.0, I 78; d 2.336, 2θ 38.5, I 100; d 2.038, 2θ 44.5, I 28; d 1.789, 2θ 51.1, I 24; d 1.752, 2θ 52.2, I 20; d 1.613, 2θ 57.1, I 18; d 1.606, 2θ 57.4, I 17; d 1.305, 2θ 72.4, I 16

Cell and atoms:
a = 3.577 Å, b = 6.462 Å, c = 6.462 Å
α = 72.67°, β = 90.00°, γ = 90.00°
Fractional coordinates of all 8 atoms:
Mg1 0.000 0.000 0.000
Mg2 0.000 0.082 0.436
Mg3 0.000 0.436 0.082
Mg4 0.500 0.309 0.673
Mg5 0.500 0.673 0.309
Mg6 0.500 0.776 0.776
Co1 0.000 0.615 0.615
C1 0.500 0.311 0.311

* * * * *

TbPm3Ag7: theoretical X-ray powder pattern (copper Kα), based on the GGA-PBE geometry in Alexandria.
Kinematic intensities with the Lorentz-polarization factor, no thermal factor.

Principal peaks in the range 10 to 90 degrees two-theta, by intensity:
- 2θ 34.3, 2.614 Å, intensity 100
- 2θ 30.8, 2.900 Å, intensity 79
- 2θ 35.4, 2.534 Å, intensity 41
- 2θ 29.7, 3.008 Å, intensity 38
- 2θ 33.9, 2.641 Å, intensity 36
- 2θ 41.6, 2.170 Å, intensity 33

Atomic structure:
abc: 10.733 10.733 13.781
angles: 90.00 90.00 159.61
Element x y z (fractional)
Tb1 0.006 0.994 0.750
Tb2 0.994 0.006 0.250
Pm1 0.128 0.872 0.037
Pm2 0.128 0.872 0.463
Pm3 0.219 0.781 0.750
Pm4 0.781 0.219 0.250
Pm5 0.872 0.128 0.537
Pm6 0.872 0.128 0.963
Ag1 0.272 0.728 0.067
Ag2 0.272 0.728 0.433
Ag3 0.384 0.616 0.750
Ag4 0.392 0.608 0.148
Ag5 0.392 0.608 0.352
Ag6 0.480 0.520 0.591
Ag7 0.480 0.520 0.909
Ag8 0.520 0.480 0.091
Ag9 0.520 0.480 0.409
Ag10 0.608 0.392 0.648
Ag11 0.608 0.392 0.852
Ag12 0.616 0.384 0.250
Ag13 0.728 0.272 0.567
Ag14 0.728 0.272 0.933

* * * * *

(1)